== Job ==
It remains to start at the top of the data further down and type out each line, ending with the one that has "_cell_length_b 5.724".

== Given ==
<<<
Entry 1:
Structure and computed X-ray powder pattern of PrGa2Hg (the GGA-PBE geometry in OQMD; Cu Kα (weighted mean of Kα1 and Kα2)).
Peak positions follow from Bragg's law for the DFT cell and can differ from measured ones.

Cell and atoms:
```
data_PrGa2Hg
_cell_length_a 6.793
_cell_length_b 11.397
_cell_length_c 4.705
_cell_angle_alpha 90.00
_cell_angle_beta 90.00
_cell_angle_gamma 90.00
_space_group_name_H-M_alt 'C m c m'
_space_group_IT_number 63
_space_group_name_Hall '-C 2c 2'
loop_
_atom_site_label
_atom_site_fract_x
_atom_site_fract_y
_atom_site_fract_z
Pr1 0.000 0.161 0.250
Ga1 0.228 0.425 0.250
Hg1 0.000 0.348 0.750
```

Largest 10 diffraction maxima, sorted by position, 10° ≤ 2θ ≤ 90°:
- 2θ = 24.5°, I 28, hkl 0 2 1
- 2θ = 26.2°, I 12, hkl 2 0 0
- 2θ = 30.6°, I 19, hkl 2 2 0
- 2θ = 31.4°, I 17, hkl 0 4 0
- 2θ = 36.2°, I 100, hkl 2 2 1
- 2θ = 36.9°, I 36, hkl 0 4 1
- 2θ = 38.3°, I 28, hkl 0 0 2
- 2θ = 55.4°, I 15, hkl 2 6 0
- 2θ = 67.8°, I 16, hkl 2 2 3
- 2θ = 69.3°, I 16, hkl 2 6 2

Entry 2:
Structure and computed X-ray powder pattern of Pr2GaHg5 (the GGA-PBE geometry in OQMD; Cu Kα (weighted mean of Kα1 and Kα2)).
Peak positions follow from Bragg's law for the DFT cell and can differ from measured ones.

Cell and atoms:
```
data_Pr2GaHg5
_cell_length_a 5.023
_cell_length_b 6.742
_cell_length_c 11.859
_cell_angle_alpha 90.00
_cell_angle_beta 90.00
_cell_angle_gamma 90.00
_space_group_name_H-M_alt 'A m m 2'
_space_group_IT_number 38
loop_
_space_group_symop_operation_xyz
'x,y,z'
'-x,-y,z'
'-x,y,z'
'x,-y,z'
'x,y+1/2,z+1/2'
'-x,-y+1/2,z+1/2'
'-x,y+1/2,z+1/2'
'x,-y+1/2,z+1/2'
loop_
_atom_site_label
_atom_site_fract_x
_atom_site_fract_y
_atom_site_fract_z
Pr1 0.000 0.000 0.000
Pr2 0.500 0.000 0.335
Ga1 0.000 0.000 0.506
Hg1 0.000 0.243 0.744
Hg2 0.500 0.000 0.828
Hg3 0.500 0.237 0.582
```

Largest 10 diffraction maxima, sorted by position, 10° ≤ 2θ ≤ 90°:
- 2θ = 30.1°, I 13, hkl 0 0 4
- 2θ = 30.5°, I 26, hkl 0 2 2
- 2θ = 35.1°, I 53, hkl 1 0 4
- 2θ = 35.5°, I 100, hkl 1 2 2
- 2θ = 35.8°, I 33, hkl 2 0 0
- 2θ = 47.7°, I 15, hkl 2 2 2
- 2θ = 53.8°, I 20, hkl 0 2 6
- 2θ = 64.1°, I 18, hkl 3 2 2
- 2θ = 66.3°, I 22, hkl 2 2 6
- 2θ = 66.5°, I 16, hkl 1 4 4

Entry 3:
Structure and computed X-ray powder pattern of Ga2HgS4 (the GGA-PBE geometry in OQMD; Cu Kα (weighted mean of Kα1 and Kα2)).
Peak positions follow from Bragg's law for the DFT cell and can differ from measured ones.

Cell and atoms:
```
data_Ga2HgS4
_cell_length_a 7.941
_cell_length_b 10.380
_cell_length_c 5.611
_cell_angle_alpha 90.00
_cell_angle_beta 134.90
_cell_angle_gamma 90.00
_space_group_name_H-M_alt 'C 1 2 1'
_space_group_IT_number 5
loop_
_space_group_symop_operation_xyz
'x,y,z'
'-x,y,-z'
'x+1/2,y+1/2,z'
'-x+1/2,y+1/2,-z'
loop_
_atom_site_label
_atom_site_fract_x
_atom_site_fract_y
_atom_site_fract_z
Ga1 0.000 0.000 0.000
Ga2 0.000 0.250 0.500
Hg1 0.000 0.750 0.500
S1 0.228 0.113 0.498
S2 0.229 0.387 0.957
```

Largest 10 diffraction maxima, sorted by position, 10° ≤ 2θ ≤ 90°:
- 2θ = 17.1°, I 18, hkl 0 2 0
- 2θ = 18.0°, I 38, hkl 1 1 0
- 2θ = 22.4°, I 26, hkl 0 0 1
- 2θ = 28.3°, I 100, hkl 0 2 1
- 2θ = 30.3°, I 15, hkl 1 3 -1
- 2θ = 36.4°, I 18, hkl 2 2 0
- 2θ = 36.8°, I 18, hkl 3 1 -1
- 2θ = 45.7°, I 21, hkl 0 0 2
- 2θ = 47.7°, I 37, hkl 2 4 0
- 2θ = 54.6°, I 23, hkl 2 2 1

Entry 4:
Structure and computed X-ray powder pattern of Ga2HgSeS3 (the GGA-PBE geometry in OQMD; Cu Kα (weighted mean of Kα1 and Kα2)).
Peak positions follow from Bragg's law for the DFT cell and can differ from measured ones.

Cell and atoms:
```
data_Ga2HgSeS3
_cell_length_a 5.653
_cell_length_b 5.724
_cell_length_c 6.550
_cell_angle_alpha 114.69
_cell_angle_beta 114.68
_cell_angle_gamma 90.89
_space_group_name_H-M_alt 'P 1'
_space_group_IT_number 1
loop_
_space_group_symop_operation_xyz
'x,y,z'
loop_
_atom_site_label
_atom_site_fract_x
_atom_site_fract_y
_atom_site_fract_z
Ga1 0.000 0.000 0.000
Ga2 0.255 0.765 0.509
Hg1 0.759 0.257 0.505
Se1 0.355 0.396 0.218
S1 0.158 0.668 0.778
>>>

== Response ==
Entry 1:
Structure and computed X-ray powder pattern of PrGa2Hg (the GGA-PBE geometry in OQMD; Cu Kα (weighted mean of Kα1 and Kα2)).
Peak positions follow from Bragg's law for the DFT cell and can differ from measured ones.

Cell and atoms:
```
data_PrGa2Hg
_cell_length_a 6.793
_cell_length_b 11.397
_cell_length_c 4.705
_cell_angle_alpha 90.00
_cell_angle_beta 90.00
_cell_angle_gamma 90.00
_space_group_name_H-M_alt 'C m c m'
_space_group_IT_number 63
_space_group_name_Hall '-C 2c 2'
loop_
_atom_site_label
_atom_site_fract_x
_atom_site_fract_y
_atom_site_fract_z
Pr1 0.000 0.161 0.250
Ga1 0.228 0.425 0.250
Hg1 0.000 0.348 0.750
```

Largest 10 diffraction maxima, sorted by position, 10° ≤ 2θ ≤ 90°:
- 2θ = 24.5°, I 28, hkl 0 2 1
- 2θ = 26.2°, I 12, hkl 2 0 0
- 2θ = 30.6°, I 19, hkl 2 2 0
- 2θ = 31.4°, I 17, hkl 0 4 0
- 2θ = 36.2°, I 100, hkl 2 2 1
- 2θ = 36.9°, I 36, hkl 0 4 1
- 2θ = 38.3°, I 28, hkl 0 0 2
- 2θ = 55.4°, I 15, hkl 2 6 0
- 2θ = 67.8°, I 16, hkl 2 2 3
- 2θ = 69.3°, I 16, hkl 2 6 2

Entry 2:
Structure and computed X-ray powder pattern of Pr2GaHg5 (the GGA-PBE geometry in OQMD; Cu Kα (weighted mean of Kα1 and Kα2)).
Peak positions follow from Bragg's law for the DFT cell and can differ from measured ones.

Cell and atoms:
```
data_Pr2GaHg5
_cell_length_a 5.023
_cell_length_b 6.742
_cell_length_c 11.859
_cell_angle_alpha 90.00
_cell_angle_beta 90.00
_cell_angle_gamma 90.00
_space_group_name_H-M_alt 'A m m 2'
_space_group_IT_number 38
loop_
_space_group_symop_operation_xyz
'x,y,z'
'-x,-y,z'
'-x,y,z'
'x,-y,z'
'x,y+1/2,z+1/2'
'-x,-y+1/2,z+1/2'
'-x,y+1/2,z+1/2'
'x,-y+1/2,z+1/2'
loop_
_atom_site_label
_atom_site_fract_x
_atom_site_fract_y
_atom_site_fract_z
Pr1 0.000 0.000 0.000
Pr2 0.500 0.000 0.335
Ga1 0.000 0.000 0.506
Hg1 0.000 0.243 0.744
Hg2 0.500 0.000 0.828
Hg3 0.500 0.237 0.582
```

Largest 10 diffraction maxima, sorted by position, 10° ≤ 2θ ≤ 90°:
- 2θ = 30.1°, I 13, hkl 0 0 4
- 2θ = 30.5°, I 26, hkl 0 2 2
- 2θ = 35.1°, I 53, hkl 1 0 4
- 2θ = 35.5°, I 100, hkl 1 2 2
- 2θ = 35.8°, I 33, hkl 2 0 0
- 2θ = 47.7°, I 15, hkl 2 2 2
- 2θ = 53.8°, I 20, hkl 0 2 6
- 2θ = 64.1°, I 18, hkl 3 2 2
- 2θ = 66.3°, I 22, hkl 2 2 6
- 2θ = 66.5°, I 16, hkl 1 4 4

Entry 3:
Structure and computed X-ray powder pattern of Ga2HgS4 (the GGA-PBE geometry in OQMD; Cu Kα (weighted mean of Kα1 and Kα2)).
Peak positions follow from Bragg's law for the DFT cell and can differ from measured ones.

Cell and atoms:
```
data_Ga2HgS4
_cell_length_a 7.941
_cell_length_b 10.380
_cell_length_c 5.611
_cell_angle_alpha 90.00
_cell_angle_beta 134.90
_cell_angle_gamma 90.00
_space_group_name_H-M_alt 'C 1 2 1'
_space_group_IT_number 5
loop_
_space_group_symop_operation_xyz
'x,y,z'
'-x,y,-z'
'x+1/2,y+1/2,z'
'-x+1/2,y+1/2,-z'
loop_
_atom_site_label
_atom_site_fract_x
_atom_site_fract_y
_atom_site_fract_z
Ga1 0.000 0.000 0.000
Ga2 0.000 0.250 0.500
Hg1 0.000 0.750 0.500
S1 0.228 0.113 0.498
S2 0.229 0.387 0.957
```

Largest 10 diffraction maxima, sorted by position, 10° ≤ 2θ ≤ 90°:
- 2θ = 17.1°, I 18, hkl 0 2 0
- 2θ = 18.0°, I 38, hkl 1 1 0
- 2θ = 22.4°, I 26, hkl 0 0 1
- 2θ = 28.3°, I 100, hkl 0 2 1
- 2θ = 30.3°, I 15, hkl 1 3 -1
- 2θ = 36.4°, I 18, hkl 2 2 0
- 2θ = 36.8°, I 18, hkl 3 1 -1
- 2θ = 45.7°, I 21, hkl 0 0 2
- 2θ = 47.7°, I 37, hkl 2 4 0
- 2θ = 54.6°, I 23, hkl 2 2 1

Entry 4:
Structure and computed X-ray powder pattern of Ga2HgSeS3 (the GGA-PBE geometry in OQMD; Cu Kα (weighted mean of Kα1 and Kα2)).
Peak positions follow from Bragg's law for the DFT cell and can differ from measured ones.

Cell and atoms:
```
data_Ga2HgSeS3
_cell_length_a 5.653
_cell_length_b 5.724